Next, restate all of the entries further down without altering anything.
'''
# 1
The following is a calculated powder XRD pattern of YGe2Pd3. It was derived from a crystal structure in Alexandria, relaxed with GGA-PBE, using λ = 1.5418 Å (Cu Kα).
No peak broadening, texture or thermal motion is included.

Atomic structure:
a = 16.7751 Å, b = 4.0478 Å, c = 10.0026 Å
α = 90.00°, β = 108.30°, γ = 90.00°
Space group C2/m (No. 12)
Symmetry-distinct sites (fractional):
Y  0.0000  0.0000  0.0000 [2 per cell]
Y  0.1539  0.0000  0.6963 [4 per cell]
Ge  0.0399  0.5000  0.7837 [4 per cell]
Ge  0.1370  0.5000  0.4546 [4 per cell]
Ge  0.1974  0.0000  0.1308 [4 per cell]
Pd  0.0000  0.5000  0.5000 [2 per cell]
Pd  0.0403  0.0000  0.3303 [4 per cell]
Pd  0.1190  0.5000  0.1952 [4 per cell]
Pd  0.1810  0.5000  0.9628 [4 per cell]
Pd  0.2183  0.0000  0.3914 [4 per cell]

Peak list (6 most intense, 2θ = 5–70°, by angle)
2θ = 34.7°, intensity 31
2θ = 35.0°, intensity 100
2θ = 36.2°, intensity 31
2θ = 39.4°, intensity 31
2θ = 44.0°, intensity 47
2θ = 44.8°, intensity 56

---

# 2
The following is a calculated powder XRD pattern of MgGe2Bi2Pt7. It was derived from a crystal structure in Alexandria, relaxed with GGA-PBE, using λ = 1.5418 Å (Cu Kα).
No peak broadening, texture or thermal motion is included.

Atomic structure:
a = 5.6279 Å, b = 5.6252 Å, c = 15.5879 Å
α = 90.00°, β = 100.31°, γ = 90.00°
Space group C2/m (No. 12)
Symmetry-distinct sites (fractional):
Mg  0.0000  0.0000  0.0000 [2 per cell]
Ge  0.1146  0.5000  0.2325 [4 per cell]
Bi  0.2105  0.0000  0.4213 [4 per cell]
Pt  0.0000  0.5000  0.0000 [2 per cell]
Pt  0.1849  0.2502  0.8670 [8 per cell]
Pt  0.1959  0.5000  0.3918 [4 per cell]

Peak list (6 most intense, 2θ = 5–70°, by angle)
2θ = 11.5°, intensity 27
2θ = 23.2°, intensity 53
2θ = 32.4°, intensity 100
2θ = 36.5°, intensity 70
2θ = 43.7°, intensity 96
2θ = 45.6°, intensity 82

---

# 3
The following is a calculated powder XRD pattern of Sr2Al12AgPt3. It was derived from a crystal structure in Alexandria, relaxed with GGA-PBE, using λ = 1.5418 Å (Cu Kα).
No peak broadening, texture or thermal motion is included.

Atomic structure:
a = 9.2021 Å, b = 9.2021 Å, c = 18.2211 Å
α = 90.00°, β = 90.00°, γ = 120.00°
Space group R-3m (No. 166, hexagonal axes)
Symmetry-distinct sites (fractional):
Sr  0.0000  0.0000  0.1032 [6 per cell]
Al  0.0082  0.5041  0.1354 [18 per cell]
Al  0.0876  0.5438  0.2921 [18 per cell]
Ag  0.0000  0.0000  0.5000 [3 per cell]
Pt  0.0000  0.5000  0.0000 [9 per cell]

Peak list (6 most intense, 2θ = 5–70°, by angle)
2θ = 12.1°, intensity 58
2θ = 22.8°, intensity 100
2θ = 24.3°, intensity 44
2θ = 24.4°, intensity 69
2θ = 39.2°, intensity 63
2θ = 45.9°, intensity 46

---

# 4
The following is a calculated powder XRD pattern of Cs2MnGaS4. It was derived from a crystal structure in Alexandria, relaxed with GGA-PBE, using λ = 1.5418 Å (Cu Kα).
No peak broadening, texture or thermal motion is included.

Atomic structure:
a = 5.9727 Å, b = 14.5238 Å, c = 24.2050 Å
α = 90.00°, β = 90.00°, γ = 90.00°
Space group Fddd (No. 70, origin choice 2)
Symmetry-distinct sites (fractional):
Cs  0.1250  0.1250  0.3015 [16 per cell]
Mn  0.1250  0.1250  0.1250 [8 per cell]
Ga  0.1250  0.1250  0.6250 [8 per cell]
S  0.1242  0.2811  0.4202 [32 per cell]

Peak list (6 most intense, 2θ = 5–70°, by angle)
2θ = 19.5°, intensity 62
2θ = 24.5°, intensity 42
2θ = 25.3°, intensity 100
2θ = 26.1°, intensity 96
2θ = 30.1°, intensity 45
2θ = 32.4°, intensity 45

---

# 5
The following is a calculated powder XRD pattern of PmHo2ScS4. It was derived from a crystal structure in Alexandria, relaxed with GGA-PBE, using λ = 1.5418 Å (Cu Kα).
No peak broadening, texture or thermal motion is included.

Atomic structure:
a = 6.7090 Å, b = 3.8470 Å, c = 6.7884 Å
α = 90.00°, β = 109.02°, γ = 90.00°
Space group P2/m (No. 10)
Symmetry-distinct sites (fractional):
Pm  0.0000  0.0000  0.0000 [1 per cell]
Ho  0.5000  0.0000  0.5000 [1 per cell]
Ho  0.5000  0.5000  0.0000 [1 per cell]
Sc  0.0000  0.5000  0.5000 [1 per cell]
'''
# 1
The following is a calculated powder XRD pattern of YGe2Pd3. It was derived from a crystal structure in Alexandria, relaxed with GGA-PBE, using λ = 1.5418 Å (Cu Kα).
No peak broadening, texture or thermal motion is included.

Atomic structure:
a = 16.7751 Å, b = 4.0478 Å, c = 10.0026 Å
α = 90.00°, β = 108.30°, γ = 90.00°
Space group C2/m (No. 12)
Symmetry-distinct sites (fractional):
Y  0.0000  0.0000  0.0000 [2 per cell]
Y  0.1539  0.0000  0.6963 [4 per cell]
Ge  0.0399  0.5000  0.7837 [4 per cell]
Ge  0.1370  0.5000  0.4546 [4 per cell]
Ge  0.1974  0.0000  0.1308 [4 per cell]
Pd  0.0000  0.5000  0.5000 [2 per cell]
Pd  0.0403  0.0000  0.3303 [4 per cell]
Pd  0.1190  0.5000  0.1952 [4 per cell]
Pd  0.1810  0.5000  0.9628 [4 per cell]
Pd  0.2183  0.0000  0.3914 [4 per cell]

Peak list (6 most intense, 2θ = 5–70°, by angle)
2θ = 34.7°, intensity 31
2θ = 35.0°, intensity 100
2θ = 36.2°, intensity 31
2θ = 39.4°, intensity 31
2θ = 44.0°, intensity 47
2θ = 44.8°, intensity 56

---

# 2
The following is a calculated powder XRD pattern of MgGe2Bi2Pt7. It was derived from a crystal structure in Alexandria, relaxed with GGA-PBE, using λ = 1.5418 Å (Cu Kα).
No peak broadening, texture or thermal motion is included.

Atomic structure:
a = 5.6279 Å, b = 5.6252 Å, c = 15.5879 Å
α = 90.00°, β = 100.31°, γ = 90.00°
Space group C2/m (No. 12)
Symmetry-distinct sites (fractional):
Mg  0.0000  0.0000  0.0000 [2 per cell]
Ge  0.1146  0.5000  0.2325 [4 per cell]
Bi  0.2105  0.0000  0.4213 [4 per cell]
Pt  0.0000  0.5000  0.0000 [2 per cell]
Pt  0.1849  0.2502  0.8670 [8 per cell]
Pt  0.1959  0.5000  0.3918 [4 per cell]

Peak list (6 most intense, 2θ = 5–70°, by angle)
2θ = 11.5°, intensity 27
2θ = 23.2°, intensity 53
2θ = 32.4°, intensity 100
2θ = 36.5°, intensity 70
2θ = 43.7°, intensity 96
2θ = 45.6°, intensity 82

---

# 3
The following is a calculated powder XRD pattern of Sr2Al12AgPt3. It was derived from a crystal structure in Alexandria, relaxed with GGA-PBE, using λ = 1.5418 Å (Cu Kα).
No peak broadening, texture or thermal motion is included.

Atomic structure:
a = 9.2021 Å, b = 9.2021 Å, c = 18.2211 Å
α = 90.00°, β = 90.00°, γ = 120.00°
Space group R-3m (No. 166, hexagonal axes)
Symmetry-distinct sites (fractional):
Sr  0.0000  0.0000  0.1032 [6 per cell]
Al  0.0082  0.5041  0.1354 [18 per cell]
Al  0.0876  0.5438  0.2921 [18 per cell]
Ag  0.0000  0.0000  0.5000 [3 per cell]
Pt  0.0000  0.5000  0.0000 [9 per cell]

Peak list (6 most intense, 2θ = 5–70°, by angle)
2θ = 12.1°, intensity 58
2θ = 22.8°, intensity 100
2θ = 24.3°, intensity 44
2θ = 24.4°, intensity 69
2θ = 39.2°, intensity 63
2θ = 45.9°, intensity 46

---

# 4
The following is a calculated powder XRD pattern of Cs2MnGaS4. It was derived from a crystal structure in Alexandria, relaxed with GGA-PBE, using λ = 1.5418 Å (Cu Kα).
No peak broadening, texture or thermal motion is included.

Atomic structure:
a = 5.9727 Å, b = 14.5238 Å, c = 24.2050 Å
α = 90.00°, β = 90.00°, γ = 90.00°
Space group Fddd (No. 70, origin choice 2)
Symmetry-distinct sites (fractional):
Cs  0.1250  0.1250  0.3015 [16 per cell]
Mn  0.1250  0.1250  0.1250 [8 per cell]
Ga  0.1250  0.1250  0.6250 [8 per cell]
S  0.1242  0.2811  0.4202 [32 per cell]

Peak list (6 most intense, 2θ = 5–70°, by angle)
2θ = 19.5°, intensity 62
2θ = 24.5°, intensity 42
2θ = 25.3°, intensity 100
2θ = 26.1°, intensity 96
2θ = 30.1°, intensity 45
2θ = 32.4°, intensity 45

---

# 5
The following is a calculated powder XRD pattern of PmHo2ScS4. It was derived from a crystal structure in Alexandria, relaxed with GGA-PBE, using λ = 1.5418 Å (Cu Kα).
No peak broadening, texture or thermal motion is included.

Atomic structure:
a = 6.7090 Å, b = 3.8470 Å, c = 6.7884 Å
α = 90.00°, β = 109.02°, γ = 90.00°
Space group P2/m (No. 10)
Symmetry-distinct sites (fractional):
Pm  0.0000  0.0000  0.0000 [1 per cell]
Ho  0.5000  0.0000  0.5000 [1 per cell]
Ho  0.5000  0.5000  0.0000 [1 per cell]
Sc  0.0000  0.5000  0.5000 [1 per cell]